_Given_
********
[1]
## OsPb2Br (PBE-GGA)

Data for an optimized crystal structure of OsPb2Br.

Lattice parameters (Å, degrees): 6.652 6.652 13.210 90.00 90.00 90.00
Space group I-42d (No. 122)
Symmetry-distinct sites (fractional):
Os (0.000, 0.000, 0.000) [4 per cell]
Pb (0.172, 0.250, 0.125) [8 per cell]
Br (0.000, 0.000, 0.500) [4 per cell]

E_form (uncorrected) = 658 meV/atom
Relative energy among the computed polymorphs = 257.9 meV/atom

***

[2]
## CsScS2N (PBE-GGA)

Data for an optimized crystal structure of CsScS2N.

Lattice parameters (Å, degrees): 5.517 5.517 4.335 90.00 90.00 90.00
Space group P4/mmm (No. 123)
Symmetry-distinct sites (fractional):
Cs (0.000, 0.000, 0.000) [1 per cell]
Sc (0.500, 0.500, 0.500) [1 per cell]
S (0.000, 0.500, 0.000) [2 per cell]
N (0.000, 0.000, 0.500) [1 per cell]

E_form (uncorrected) = 1378 meV/atom
Relative energy among the computed polymorphs = 1804.3 meV/atom

***

[3]
## NaHgTe2 (PBE-GGA)

Data for an optimized crystal structure of NaHgTe2.

Lattice parameters (Å, degrees): 4.1996 4.1996 24.1882 90.00 90.00 120.00
Space group R3m (No. 160, hexagonal axes)
Symmetry-distinct sites (fractional):
Na (0.0000, 0.0000, 0.0000) [3 per cell]
Hg (0.0000, 0.0000, 0.8336) [3 per cell]
Te (0.0000, 0.0000, 0.2410) [3 per cell]
Te (0.0000, 0.0000, 0.4265) [3 per cell]

E_form (uncorrected) = -224 meV/atom

***

[4]
## La4BiRu (PBE-GGA)

Data for an optimized crystal structure of La4BiRu.

Lattice parameters (Å, degrees): 6.478 7.040 8.603 90.00 94.43 90.00
Space group P2_1/m (No. 11)
Symmetry-distinct sites (fractional):
La (0.092, 0.250, 0.081) [2 per cell]
La (0.165, 0.750, 0.378) [2 per cell]
********

_Wanted_
Next, find the line above that holds "OsPb2Br (PBE-GGA)", then type out that line and all lines after it there.

_Reply_
## OsPb2Br (PBE-GGA)

Data for an optimized crystal structure of OsPb2Br.

Lattice parameters (Å, degrees): 6.652 6.652 13.210 90.00 90.00 90.00
Space group I-42d (No. 122)
Symmetry-distinct sites (fractional):
Os (0.000, 0.000, 0.000) [4 per cell]
Pb (0.172, 0.250, 0.125) [8 per cell]
Br (0.000, 0.000, 0.500) [4 per cell]

E_form (uncorrected) = 658 meV/atom
Relative energy among the computed polymorphs = 257.9 meV/atom

***

[2]
## CsScS2N (PBE-GGA)

Data for an optimized crystal structure of CsScS2N.

Lattice parameters (Å, degrees): 5.517 5.517 4.335 90.00 90.00 90.00
Space group P4/mmm (No. 123)
Symmetry-distinct sites (fractional):
Cs (0.000, 0.000, 0.000) [1 per cell]
Sc (0.500, 0.500, 0.500) [1 per cell]
S (0.000, 0.500, 0.000) [2 per cell]
N (0.000, 0.000, 0.500) [1 per cell]

E_form (uncorrected) = 1378 meV/atom
Relative energy among the computed polymorphs = 1804.3 meV/atom

***

[3]
## NaHgTe2 (PBE-GGA)

Data for an optimized crystal structure of NaHgTe2.

Lattice parameters (Å, degrees): 4.1996 4.1996 24.1882 90.00 90.00 120.00
Space group R3m (No. 160, hexagonal axes)
Symmetry-distinct sites (fractional):
Na (0.0000, 0.0000, 0.0000) [3 per cell]
Hg (0.0000, 0.0000, 0.8336) [3 per cell]
Te (0.0000, 0.0000, 0.2410) [3 per cell]
Te (0.0000, 0.0000, 0.4265) [3 per cell]

E_form (uncorrected) = -224 meV/atom

***

[4]
## La4BiRu (PBE-GGA)

Data for an optimized crystal structure of La4BiRu.

Lattice parameters (Å, degrees): 6.478 7.040 8.603 90.00 94.43 90.00
Space group P2_1/m (No. 11)
Symmetry-distinct sites (fractional):
La (0.092, 0.250, 0.081) [2 per cell]
La (0.165, 0.750, 0.378) [2 per cell]